Online services may (and do) scan all of your messages. Here is how you can protect yourself!
tl;dr: To make sure your messages stay private, you must switch to encrypted services now.
Interestingly, if you look at the word derogation it means two things:
- the act of officially stating that a law or rule no longer needs to be obeyed
- the act of talking about or treating someone in a way that shows you do not respect him, her, or it
ePrivacy Directive watered down
The EU ePrivacy Directive was an outstanding piece of legislation that protected EU citizens’ private data from overly intrusive eavesdropping. Even companies providing communication apps such as messaging apps and email providers were oblidged to respect their users’ privacy and keep their users’ data safe.
However, this piece of legislation has now been watered down. In its recent derogation, the EU decided that companies may scan all messages of all users all the time.
This is an unprecedented intrusion into users’ privacy as it allows a wide form of eavesdropping that it is barely possible to monitor. While there are, of course, rules and regulations for the companies as to how they may scan users’ messages and how they must report their findings, there is no guarantee that the data obtained from the automated scanning processes will not be misused, abused or even leaked or stolen.
Reason for derogation
The reason given for this derogation of users’ privacy is that European authorities want chat and email providers to scan their content for harmful content, such as child pornography, and report the findings to the authorities.
The question that must be raised here is the question of proportionality: Can it be justified that everyones messages are being scanned all the time to catch a few criminals?
To better judge about this issue, one may also look at statistics from the German authorities as to who is being monitored.

Comparison of the percentage of monitoring orders for child pornography and drug offenses in Germany, 2009-2019.
These statistics show that most surveillance orders issued to telecommunication providers are ordered to catch criminals for drug-related crimes, not pedophiles.
Opposition to the ePrivacy derogation
Patrick Breyer from the Pirate Party says that
[Next to the piece, the page also holds data records]
/*
[1]
Crystalline Cu3P6O32 at its relaxed geometry, computed with PBE-GGA.

ΔH_f (0 K)	-903	meV/atom
magnetic moment	9.000	Bohr magnetons per cell
distance to the lowest polymorph of the same formula	0.00	kJ/mol of atoms
symmetry	P-1 (2)
E	-240.1	eV/f.u.

Geometry as CIF:
```
data_Cu3P6O32
_chemical_formula_sum 'Cu3 P6 O32'
_cell_length_a 6.359
_cell_length_b 9.764
_cell_length_c 11.149
_cell_angle_alpha 74.12
_cell_angle_beta 87.14
_cell_angle_gamma 67.44
_symmetry_space_group_name_H-M 'P 1'
_symmetry_Int_Tables_number 1
loop_
_symmetry_equiv_pos_as_xyz
'x,y,z'
loop_
_atom_site_label
_atom_site_fract_x
_atom_site_fract_y
_atom_site_fract_z
_atom_site_occupancy
Cu1 0.549 0.574 0.732 1
Cu2 0.451 0.426 0.268 1
Cu3 0.000 0.000 0.000 1
O1 0.814 0.596 0.088 1
O2 0.260 0.081 0.317 1
O3 0.104 0.723 0.388 1
O4 0.277 0.537 0.696 1
O5 0.740 0.919 0.683 1
O6 0.801 0.850 0.122 1
O7 0.695 0.365 0.605 1
O8 0.121 0.467 0.270 1
O9 0.693 0.112 0.386 1
O10 0.264 0.814 0.031 1
O11 0.186 0.404 0.912 1
O12 0.972 0.318 0.158 1
O13 0.896 0.277 0.612 1
O14 0.656 0.833 0.913 1
O15 0.321 0.017 0.586 1
O16 0.679 0.983 0.414 1
O17 0.510 0.230 0.411 1
O18 0.199 0.150 0.878 1
O19 0.960 0.950 0.853 1
O20 0.028 0.682 0.842 1
O21 0.344 0.167 0.087 1
O22 0.723 0.463 0.304 1
O23 0.305 0.635 0.395 1
O24 0.879 0.533 0.730 1
O25 0.736 0.186 0.969 1
O26 0.490 0.770 0.589 1
O27 0.432 0.816 0.110 1
O28 0.568 0.184 0.890 1
O29 0.498 0.423 0.110 1
O30 0.307 0.888 0.614 1
O31 0.502 0.577 0.890 1
O32 0.040 0.050 0.147 1
P1 0.084 0.542 0.783 1
P2 0.916 0.458 0.217 1
P3 0.688 0.778 0.061 1
P4 0.843 0.860 0.812 1
P5 0.157 0.140 0.188 1
P6 0.312 0.222 0.939 1
```


[2]
Crystalline NaSr7Cu8S8F8 at its relaxed geometry, computed with PBE-GGA.

ΔH_f (0 K)	-2228	meV/atom
magnetic moment	0.006	Bohr magnetons per cell
symmetry	P4mm (99)
E	-157.9	eV/f.u.

Geometry as CIF:
```
data_NaSr7Cu8S8F8
_chemical_formula_sum 'Na1 Sr7 Cu8 S8 F8'
_cell_length_a 7.912
_cell_length_b 7.912
_cell_length_c 8.747
_cell_angle_alpha 90.00
_cell_angle_beta 90.00
_cell_angle_gamma 90.00
_symmetry_space_group_name_H-M 'P 1'
_symmetry_Int_Tables_number 1
loop_
_symmetry_equiv_pos_as_xyz
'x,y,z'
loop_
_atom_site_label
_atom_site_fract_x
_atom_site_fract_y
_atom_site_fract_z
_atom_site_occupancy
Na1 0.000 0.000 0.970 1
S1 0.252 0.252 0.177 1
S2 0.500 0.000 0.491 1
S3 0.748 0.748 0.177 1
S4 0.000 0.000 0.490 1
S5 0.748 0.252 0.177 1
S6 0.252 0.748 0.177 1
S7 0.000 0.500 0.491 1
S8 0.500 0.500 0.496 1
Cu1 0.252 0.500 0.333 1
Cu2 0.500 0.748 0.333 1
Cu3 0.748 0.500 0.333 1
Cu4 0.248 0.000 0.330 1
Cu5 0.500 0.252 0.333 1
Cu6 0.752 0.000 0.330 1
Cu7 0.000 0.752 0.330 1
Cu8 0.000 0.248 0.330 1
F1 0.747 0.000 0.832 1
F2 0.000 0.747 0.832 1
F3 0.500 0.749 0.834 1
F4 0.749 0.500 0.834 1
F5 0.253 0.000 0.832 1
F6 0.500 0.251 0.834 1
F7 0.251 0.500 0.834 1
F8 0.000 0.253 0.832 1
Sr1 0.500 0.000 0.001 1
Sr2 0.248 0.248 0.669 1
Sr3 0.752 0.752 0.669 1
Sr4 0.500 0.500 0.004 1
Sr5 0.248 0.752 0.669 1
Sr6 0.000 0.500 0.001 1
*/
”The adoption of the first ever EU regulation on mass surveillance is a sad day for all those who rely on free and confidential communications and advice, including abuse victims and press sources. The regulation deals a death blow to the confidentiality of digital correspondence. It is a general breach of the dam to permit indiscriminate surveillance of private spaces by corporations – by this totalitarian logic, our post, our smartphones or our bedrooms could also be generally monitored. Unleashing such denunciation machines on us is ineffective, illegal and irresponsible."
"Indiscriminate searches will not protect children and even endanger them by exposing their private photos to unknown persons, and by criminalising children themselves. Already overburdened investigators are kept busy with having to sort out thousands of criminally irrelevant messages. The victims of such a terrible crime as child sexual abuse deserve measures that prevent abuse in the first place. The right approach would be, for example, to intensify undercover investigations into child porn rings and reduce of the years-long processing backlogs in searches and evaluations of seized data.”
EDRi, the biggest European network defending rights and freedoms online, says:
“The legislation is a negative evolution in the sense that it will legalise the continuous voluntary scanning of all communications by private companies. The services under the scope of the interim Regulation are as broadly defined as in the ePrivacy Directive, including your Facebook Messenger messages, Tinder chats, emails and any other form of online communication that will come up in the future is potentially under the scope.”
What the derogation of ePrivacy means for me
The derogation of the ePrivacy Directive must be worrisome for all of us. It allows private coporations to scan all our message with little to no oversight as to what they do with our private communication data.
What remains for all us to do now is to keep fighting for our right to privacy. The EU plans to replace this interim derogation with a long-term legislation. We must act now to shape this piece of legislation in a way that private communication must remain private.
EDRi recommends that you to contact your country’s digital rights organisations and ask how you can help in our joint fight for privacy.
Is Tutanota affected by this law?
No. The scanning that has now been legalized by the EU is voluntary. This means only companies that want to scan their users’ messages, may do so. Tutanota is encrypting all your data, we do not want to read your messages. Thus, we will also not scan your emails.
Instead, we focus on protecting your right to privacy.
Stop using Gmail & Co
To protect your privacy now, you must stop using any chat or email service that does not use end-to-end encyrption.
If the derogation of the ePrivacy Directive has had one positive result, it is this: Due to the extensive news coverage about the EU plans, many people have learned that their private messages are already being scanned and monitored. If you are using a service that does not encrypt your messages end-to-end, it is very likely that someone else is reading along.
That is why we recommend that you quit Gmail and other non-encrypted services now!